MENU 2 (X2)

xHamster 🇧🇷 (歌詞) - SANDERLEI 「Abestien Letrak」 - Euskarazko itzulpena

One, two, 3D! I can't touch you through the phone
Or kiss you through the universe
In another time zone
It's the only time I can't reverse

Sanderlei Silveira ® - 2023-10-07T02:38-03:00 - US X2

#sanderlei #lyrics #TikTok

xHamster 🇧🇷 (歌詞) - SANDERLEI 「Abestien Letrak」

One, two, 3D! I can't touch you through the phone
Or kiss you through the universe
In another time zone
It's the only time I can't reverse
But when there's two dimensions
There's only one I'm missin'
And if you feel alone
You don't have to feel that no more

[Pre-Chorus: Jung Kook]
I just wanna see you like that
See you like that, uh-uh

[Chorus: Jung Kook]
So if you're ready (So if you're ready)
And if you'll let me (And if you'll let me)
I wanna see it in motion, in 3D (Uh-uh)
You won't regret me (You won't regret me)
Champagne confetti (Champagne confetti)
I wanna see it in motion, in 3D

[Post-Chorus: Jung Kook]
Cause you know how I like it, girl (Girl)
3D (Woo)
You know how I like it, girl (Girl)
3D (Woo)

[Verse 2: Jung Kook]
Body to body to body to body to body
You and me, baby, you know that we got it
So don't go gettin' me started
Cause you know I get hot-hearted
Baby, oh, baby, oh, baby, you makin' me crazy
Rain, rain, rain, you can't fake it
You give me brand-new emotion
You got me drinkin' that potion

[Pre-Chorus: Jung Kook]
I just wanna see you like that
See you like that, uh-uh

[Chorus: Jung Kook]
So if you're ready (So if you're ready)
And if you'll let me (And if you'll let me)
I wanna see it in motion, in 3D (Hey, show me, girl, now)
You won't regret me (You won't regret me)
Champagne confetti (Champagne confetti, hey)
I wanna see it in motion, in 3D (Come on, come on, come on)

[Post-Chorus: Jung Kook]
Cause you know how I like it, girl (You know how I like it)
3D (Hey; woo)
You know how I like it, girl (You know how I like it)
3D (Woo)
Cause you know how I like it, girl (Oh, you know how I like it)

3D (Woo)
You know how I like it, girl (Girl)
3D (Woo)

[Verse 3: Jack Harlow]
I'm on my Jung Kook, take a chick off one look
And when they get took, they don't ever get untook (Woo)
When I seen that body, you would think it was a dead body
The way I told my boys, "Come look"
I used to take girls up to Stony Brook
And steal they hearts like some crook, true story
Now when I hold somebody's hand, it's a new story
All my ABGs get cute for me
I had one girl (One girl), too boring

Two girls (Two girls), that was cool for me
Three girls, damn, dude's horny
Four girls, okay, now you whorin'
(Hey, hey, hey) I'm loose
I done put these shrooms to good use
I done put my city on my back
And the world know my name, I'm the truth

[Chorus: Jung Kook & Jack Harlow]
So if you're ready
And if you'll let me
I wanna see it in motion, in 3D (Ooh)
You won't regret me (Won't regret me)
Champagne confetti (Champagne confetti)

I wanna see it in motion, in 3D (Show it to me, girl, now; why?)

[Post-Chorus: Jung Kook & Jack Harlow]
Cause you know how I like it, girl (How do you like it? Right)
3D (Woo)
You know how I like it, girl (Alright, alright)
3D (Woo, woo)
Cause you know how I like it, girl (You know how I like it; Spy Kids)
3D (Alright)
You know how I like it, girl (Girl)
3D (Woo)

[Outro: Jack Harlow]
I got you playin' with yourself on camera

You my bae, just like Tampa
Speakin' of bucks, I got those
And as for fucks, well, not those
And as for thots, well, do you really wanna know? I thought so
I'll fly you from Korea to Kentucky
And you ain't gotta guarantee me nothin', I just wanna see if I get lucky
I just wanna meet you in the physical and see if you would touch me

xHamster 🇧🇷 (歌詞) - SANDERLEI 「Abestien Letrak」 - Euskarazko itzulpena

Bat, bi, 3d! Ezin dut telefonoz ukitu
Edo musu unibertsoan zehar
Beste ordu-zona batean
Ezin dut alderantzikatu ezin dudan bakarra
Baina bi dimentsio daudenean
Missin bakarra naiz

Eta bakarrik sentitzen bazara
Ez duzu gehiago sentitu gehiago

[Pre-Chorus: Jung Kook]
Horrela gustatuko zaidala ikusi nahi dut
Gustatzen zaizun hori, uh-uh

[Korua: Jung Kook]
Beraz, prest bazaude (beraz, prest bazaude)
Eta utziko nauzu (eta utziko nauzu)
Mugimenduan ikusi nahi dut, 3D-n (uh-uh)
Ez nauzu damutuko (ez zara damutuko)
Champagne Confetti (xanpaina konfeti)
Mugimenduan ikusi nahi dut, 3Dn

-- These data records were left in the piece by mistake --
- - -
Starting from DFT lattice parameters and positions (GGA+U), the powder diffractogram of Li4V2P4H3O16 was computed for Cu Kα (λ = 1.5418 Å).
Kinematic intensities with the Lorentz-polarization factor, no thermal factor.

Atomic structure:
```
data_Li4V2P4H3O16
_chemical_formula_sum 'Li4 V2 P4 H3 O16'
_space_group_name_H-M_alt 'P 1'
_space_group_IT_number 1
_cell_length_a 4.953
_cell_length_b 7.617
_cell_length_c 8.376
_cell_angle_alpha 90.11
_cell_angle_beta 91.01
_cell_angle_gamma 103.97
loop_
_space_group_symop_operation_xyz
'x,y,z'
loop_
_atom_site_label
_atom_site_type_symbol
_atom_site_fract_x
_atom_site_fract_y
_atom_site_fract_z
Li1 Li 0.000 0.000 0.000
Li2 Li 0.179 0.375 0.296
Li3 Li 0.437 0.526 0.791
Li4 Li 0.683 0.850 0.505
V1 V 0.064 0.189 0.645
V2 V 0.564 0.695 0.146
P1 P 0.195 0.958 0.310
P2 P 0.446 0.928 0.789
P3 P 0.689 0.454 0.501
P4 P 0.929 0.423 0.986
H1 H 0.025 0.671 0.642
H2 H 0.510 0.192 0.199
H3 H 0.679 0.125 0.014
O1 O 0.042 0.369 0.827
O2 O 0.074 0.002 0.469
O3 O 0.160 0.514 0.102
O4 O 0.222 0.042 0.808
O5 O 0.310 0.154 0.227
O6 O 0.315 0.739 0.721
O7 O 0.432 0.863 0.329
O8 O 0.452 0.356 0.609
O9 O 0.576 0.504 0.341
O10 O 0.576 0.917 0.959
O11 O 0.679 0.027 0.677
O12 O 0.707 0.530 0.962
O13 O 0.792 0.234 0.077
O14 O 0.828 0.640 0.590
O15 O 0.914 0.344 0.481
O16 O 0.969 0.861 0.193
```

The 6 most intense peaks (15° ≤ 2θ ≤ 90°), most intense first:
2θ/deg, Rel. int.
24.4, 100
28.7, 47
28.8, 36
15.9, 28
28.0, 27
32.2, 26

----------

# 1
Structure and theoretical powder X-ray diffraction pattern of TaCuS2 (the GGA-PBE geometry in the Materials Project; a wavelength of 1.5418 Å).
Kinematic intensities with the Lorentz-polarization factor, no thermal factor.

```
data_TaCuS2
_cell_length_a 3.3711
_cell_length_b 3.3711
_cell_length_c 13.3313
_cell_angle_alpha 90.00
_cell_angle_beta 90.00
_cell_angle_gamma 120.00
_space_group_name_H-M_alt 'P 63 m c'
_space_group_IT_number 186
_space_group_name_Hall 'P 6c -2c'
loop_
_atom_site_label
_atom_site_fract_x
_atom_site_fract_y
_atom_site_fract_z
Ta1 0.3333 0.6667 0.0000
Cu1 0.3333 0.6667 0.2178
S1 0.3333 0.6667 0.3838
S2 0.3333 0.6667 0.6204
```

Main lines, by angle (5 to 70 degrees two-theta):
h k l	Position (°2θ)	Rel. int.
0 0 2	13.3	86.3
0 0 4	26.7	31.6
1 0 0	30.6	60.0
1 0 1	31.4	84.5
1 0 2	33.5	14.3
1 0 3	36.8	77.3
1 0 4	41.1	16.0
1 0 5	46.1	100.0
1 1 0	54.4	45.3
1 1 4	61.7	19.8



# 2
Structure and theoretical powder X-ray diffraction pattern of Ta2Tl3Cu3S8 (the GGA-PBE geometry in the Materials Project; a wavelength of 1.5418 Å).
Kinematic intensities with the Lorentz-polarization factor, no thermal factor.

```
data_Ta2Tl3Cu3S8
_cell_length_a 19.8317
_cell_length_b 5.5845
_cell_length_c 7.4423
_cell_angle_alpha 90.00
_cell_angle_beta 96.43
_cell_angle_gamma 90.00
_space_group_name_H-M_alt 'C 1 2 1'
_space_group_IT_number 5
loop_
_space_group_symop_operation_xyz
'x,y,z'
'-x,y,-z'
'x+1/2,y+1/2,z'
'-x+1/2,y+1/2,-z'
loop_
_atom_site_label
_atom_site_fract_x
_atom_site_fract_y
- - -

[Post-Chorus: Jung Kook]
Badakizu nola gustatzen zaidan, neska (neska)
3D (WOO)
Badakizu nola gustatzen zaidan, neska (neska)
3D (WOO)

[2. bertsoa: Jung Kook]
Gorputza gorputzari gorputzari gorputzari gorputzari
Zu eta ni, haurra, badakizu lortu dugula
Beraz, ez zaitez hasi
Badakizu bihotz beroa lortzen dudala
Haurra, oh, haurra, oh, haurra, zoratzen nauzu
Euria, euria, euria, ezin duzu faltsutu

Emozio berria ematen didazu
Edateko edan nauzu

[Pre-Chorus: Jung Kook]
Horrela gustatuko zaidala ikusi nahi dut
Gustatzen zaizun hori, uh-uh

[Korua: Jung Kook]
Beraz, prest bazaude (beraz, prest bazaude)
Eta utziko nauzu (eta utziko nauzu)
Mugimenduan ikusi nahi dut, 3D-n (Hey, erakutsi, neska, orain)
Ez nauzu damutuko (ez zara damutuko)
Champagne Confetti (xanpaina konfeti, jeje)
Mugimenduan ikusi nahi dut, 3Dn (aurrera, etorri, etorri)

[Post-Chorus: Jung Kook]
Badakizu nola gustatzen zaidan, neska (badakizu nola gustatzen zaidan)
3D (jeje; woo)
Badakizu nola gustatzen zaidan, neska (badakizu nola gustatzen zaidan)
3D (WOO)
Badakizu nola gustatzen zaidan, neska (oh, badakizu nola gustatzen zaidan)
3D (WOO)
Badakizu nola gustatzen zaidan, neska (neska)
3D (WOO)

[3. bertsoa: Jack Harlow]
Nire jung kookan nago, oilasko bat begiratu
Eta hartzen dutenean, ez dira inoiz behatu (WOO)

Gorputz hori ikusi nuenean, hildako gorputza zela pentsatuko zenuke
Nire mutilei esan nien "etorri zirela"
Neskak harri-jasotzera eramaten nituen
Eta lapurtu bihotzak crook batzuk bezala, benetako istorioa
Norbaiten eskua eusten dudanean, istorio berria da
Nire abgs guztiak niretzat politak dira
Neska bat (neska bat) ere aspergarria izan nuen
Bi neska (bi neska), niretzat freskoa zen
Hiru neska, madarikatua, tipoa
Lau neska, ados, orain zuritzen zara
(Jeje, jey, jey) solte naiz
Biltegi hauek erabilera onean jarri nituen
Nire hiria bizkarrean jarri nuen
Eta munduak badakit nire izena, egia naiz

[Korua: Jung Kook eta Jack Harlow]
Beraz, prest bazaude
Eta utziko nauzu
Mugimenduan ikusi nahi dut, 3Dn (OOH)
Ez nauzu damutuko (ez nau damutuko)
Champagne Confetti (xanpaina konfeti)
Mugimenduan ikusi nahi dut, 3Dn (erakutsi niri, neska, orain; zergatik?)

[Post-Chorus: Jung Kook eta Jack Harlow]
Badakizu nola gustatzen zaidan, neska (nola gustatzen zaizu? Right)
3D (WOO)
Badakizu nola gustatzen zaidan, neska (ondo, ondo)
3D (Woo, Woo)

Badakizu nola gustatzen zaidan, neska (badakizu nola gustatzen zaidan; espioi umeak)
3D (Ondo)
Badakizu nola gustatzen zaidan, neska (neska)
3D (WOO)

[Outro: Jack Harlow]
Kamerarekin jolastu zaitut
Zu nire baze, tampa bezala
Bucks-en hitz egin, horiek lortu ditut
Eta fucks, ondo, ez horiek
Eta thots-i dagokionez, benetan jakin nahi al duzu? Beraz, pentsatu nuen
Koreatik Kentucky-ra hegan egingo zaitut
Eta ez nauzu bermatzen, zortea lortzen dudan ala ez ikusi nahi dut
Bakarrik ezagutu nahi zaitut fisikoan eta ikusiko nauzu